(Work order)
Now set down all of the material further below character by character.
(Entries)
Computed, not measured: C3H12N6O3Rb as an isolated structure at a distorted geometry, with the ωB97M-V functional and the def2-TZVPD basis.

Each line ends with the Mulliken charge.
Cartesian coordinates (Å):
Rb (0.45404, -0.13758, 2.36823)  0.967
O (2.15429, -0.69506, 1.08686)  -0.849
O (-0.44083, -0.99059, 0.70556)  -0.698
O (0.67644, 1.86695, 1.68517)  -0.760
N (-1.39914, -0.92194, -1.35797)  -0.263
N (-0.30545, 1.69964, -0.32382)  -0.452
N (2.48513, -2.66940, 0.16776)  -0.378
N (1.17807, -1.27423, -0.83377)  -0.374
N (-0.00049, 3.64080, 0.50596)  -0.329
N (-2.56255, -0.40967, 0.42739)  -0.412
C (2.00688, -1.48621, 0.11108)  0.928
C (-1.37147, -0.74028, -0.03156)  0.432
C (0.14062, 2.35785, 0.71197)  0.756
H (-2.29256, -0.83484, -1.82093)  0.168
H (0.97058, -2.06091, -1.43225)  0.235
H (-0.33858, 3.87811, -0.41571)  0.144
H (-0.22626, 0.70778, -0.49706)  0.699
H (-0.63398, -1.30919, -1.89151)  0.149
H (2.92876, -3.03582, 0.99783)  0.256
H (-2.66822, -0.05671, 1.36779)  0.212
H (0.60448, -0.45052, -0.72155)  -0.121
H (-0.60700, 2.22712, -1.13063)  0.120
H (-3.30897, -0.34913, -0.25033)  0.153
H (2.19264, -3.28666, -0.57625)  0.145
H (0.36359, 4.33048, 1.14775)  0.271

Output
net charge = +1
Kohn-Sham gap = 10.11 eV
energy relative to the best compared isomer or geometry (same formula, charge and spin) = 678.4 kJ/mol

=====

1.
The following is a DFT calculation (the ωB97M-V functional and the def2-TZVPD basis) of a 10-piece molecular cluster, C9H36ClN18O13 overall in a non-equilibrium geometry.

Computed properties:
Frontier orbital gap ... 9.17 eV
Net charge ... -1
Multiplicity ... 1
Energy above the lowest of the compared OMol25 structures with the same formula, charge and spin ... 676.2 kJ/mol
Maximum force ... 10.38 eV/Å
Energy ... -2788.4525 hartree

The geometry in XYZ format:
```
77
C9H36ClN18O13 | the Open Molecules 2025 dataset | the ωB97M-V functional and the def2-TZVPD basis
Cl -0.472 -0.713 0.009
O -0.974 0.590 -0.195
O 0.872 -0.802 -0.664
O -0.221 -0.898 1.435
O -1.218 -1.809 -0.610
C 2.362 2.234 1.221
O 3.438 2.703 1.007
N 1.286 2.896 1.413
N 2.232 0.998 1.508
H 0.432 2.359 1.463
H 1.194 3.737 0.863
H 3.146 0.586 1.387
H 1.370 0.568 1.204
C 4.867 -0.450 -1.882
O 4.822 0.044 -2.994
N 5.746 -1.294 -1.499
N 3.999 -0.204 -0.904
H 6.393 -1.546 -2.232
H 5.851 -1.419 -0.502
H 3.977 -0.750 -0.055
H 3.159 0.290 -1.170
C -0.532 -3.418 -4.073
O -0.231 -4.146 -4.965
N -1.365 -3.855 -3.159
N -0.170 -2.176 -3.879
H -1.741 -4.792 -3.182
H -1.535 -3.369 -2.290
H -0.450 -1.782 -2.993
H 0.091 -1.661 -4.708
C -4.815 -0.198 -2.243
O -4.781 0.477 -1.216
N -4.127 -1.286 -2.477
N -5.271 0.064 -3.437
H -3.357 -1.600 -1.904
H -4.207 -1.620 -3.426
H -5.287 1.038 -3.703
H -5.309 -0.698 -4.099
C 0.332 3.919 -2.904
O -0.739 4.385 -2.617
N 0.642 2.639 -2.959
N 1.431 4.580 -2.816
H -0.037 1.966 -2.633
H 1.631 2.453 -3.047
H 2.348 4.179 -2.953
H 1.242 5.568 -2.731
C 2.858 -3.803 1.791
O 2.205 -4.794 1.445
N 2.587 -2.565 1.749
N 3.899 -3.985 2.558
H 1.776 -2.246 1.240
H 3.027 -1.814 2.263
H 4.275 -4.916 2.443
H 4.458 -3.190 2.834
C -2.968 4.355 0.265
O -2.957 5.554 0.281
N -1.894 3.659 0.592
N -3.780 3.595 -0.241
H -1.959 2.655 0.504
H -1.088 4.221 0.826
H -4.630 3.945 -0.659
H -3.572 2.607 -0.257
C 1.699 0.252 5.129
O 1.871 0.432 6.279
N 1.301 -0.912 4.632
N 1.668 1.235 4.233
H 1.119 -1.551 5.393
H 1.249 -1.109 3.642
H 1.990 2.074 4.694
H 1.672 1.174 3.224
C -4.265 -1.522 2.924
O -5.272 -1.543 3.605
N -4.274 -1.075 1.742
N -3.107 -2.054 3.219
H -5.101 -0.632 1.367
H -3.454 -1.217 1.169
H -2.243 -1.938 2.709
H -3.113 -2.678 4.014
```

Results of the Löwdin charge analysis, in e, for atoms 1 through 6: atom 1 (Cl): 0.68, atom 2 (O): -0.32, atom 3 (O): -0.39, atom 4 (O): -0.37, atom 5 (O): -0.35, atom 6 (C): -0.86

2.
The following is a DFT calculation (the ωB97M-V functional and the def2-TZVPD basis) of C9H36Fe2O21S3 as an isolated structure in a non-equilibrium geometry.

Computed properties:
(Solution)
Computed, not measured: C3H12N6O3Rb as an isolated structure at a distorted geometry, with the ωB97M-V functional and the def2-TZVPD basis.

Each line ends with the Mulliken charge.
Cartesian coordinates (Å):
Rb (0.45404, -0.13758, 2.36823)  0.967
O (2.15429, -0.69506, 1.08686)  -0.849
O (-0.44083, -0.99059, 0.70556)  -0.698
O (0.67644, 1.86695, 1.68517)  -0.760
N (-1.39914, -0.92194, -1.35797)  -0.263
N (-0.30545, 1.69964, -0.32382)  -0.452
N (2.48513, -2.66940, 0.16776)  -0.378
N (1.17807, -1.27423, -0.83377)  -0.374
N (-0.00049, 3.64080, 0.50596)  -0.329
N (-2.56255, -0.40967, 0.42739)  -0.412
C (2.00688, -1.48621, 0.11108)  0.928
C (-1.37147, -0.74028, -0.03156)  0.432
C (0.14062, 2.35785, 0.71197)  0.756
H (-2.29256, -0.83484, -1.82093)  0.168
H (0.97058, -2.06091, -1.43225)  0.235
H (-0.33858, 3.87811, -0.41571)  0.144
H (-0.22626, 0.70778, -0.49706)  0.699
H (-0.63398, -1.30919, -1.89151)  0.149
H (2.92876, -3.03582, 0.99783)  0.256
H (-2.66822, -0.05671, 1.36779)  0.212
H (0.60448, -0.45052, -0.72155)  -0.121
H (-0.60700, 2.22712, -1.13063)  0.120
H (-3.30897, -0.34913, -0.25033)  0.153
H (2.19264, -3.28666, -0.57625)  0.145
H (0.36359, 4.33048, 1.14775)  0.271

Output
net charge = +1
Kohn-Sham gap = 10.11 eV
energy relative to the best compared isomer or geometry (same formula, charge and spin) = 678.4 kJ/mol

=====

1.
The following is a DFT calculation (the ωB97M-V functional and the def2-TZVPD basis) of a 10-piece molecular cluster, C9H36ClN18O13 overall in a non-equilibrium geometry.

Computed properties:
Frontier orbital gap ... 9.17 eV
Net charge ... -1
Multiplicity ... 1
Energy above the lowest of the compared OMol25 structures with the same formula, charge and spin ... 676.2 kJ/mol
Maximum force ... 10.38 eV/Å
Energy ... -2788.4525 hartree

The geometry in XYZ format:
```
77
C9H36ClN18O13 | the Open Molecules 2025 dataset | the ωB97M-V functional and the def2-TZVPD basis
Cl -0.472 -0.713 0.009
O -0.974 0.590 -0.195
O 0.872 -0.802 -0.664
O -0.221 -0.898 1.435
O -1.218 -1.809 -0.610
C 2.362 2.234 1.221
O 3.438 2.703 1.007
N 1.286 2.896 1.413
N 2.232 0.998 1.508
H 0.432 2.359 1.463
H 1.194 3.737 0.863
H 3.146 0.586 1.387
H 1.370 0.568 1.204
C 4.867 -0.450 -1.882
O 4.822 0.044 -2.994
N 5.746 -1.294 -1.499
N 3.999 -0.204 -0.904
H 6.393 -1.546 -2.232
H 5.851 -1.419 -0.502
H 3.977 -0.750 -0.055
H 3.159 0.290 -1.170
C -0.532 -3.418 -4.073
O -0.231 -4.146 -4.965
N -1.365 -3.855 -3.159
N -0.170 -2.176 -3.879
H -1.741 -4.792 -3.182
H -1.535 -3.369 -2.290
H -0.450 -1.782 -2.993
H 0.091 -1.661 -4.708
C -4.815 -0.198 -2.243
O -4.781 0.477 -1.216
N -4.127 -1.286 -2.477
N -5.271 0.064 -3.437
H -3.357 -1.600 -1.904
H -4.207 -1.620 -3.426
H -5.287 1.038 -3.703
H -5.309 -0.698 -4.099
C 0.332 3.919 -2.904
O -0.739 4.385 -2.617
N 0.642 2.639 -2.959
N 1.431 4.580 -2.816
H -0.037 1.966 -2.633
H 1.631 2.453 -3.047
H 2.348 4.179 -2.953
H 1.242 5.568 -2.731
C 2.858 -3.803 1.791
O 2.205 -4.794 1.445
N 2.587 -2.565 1.749
N 3.899 -3.985 2.558
H 1.776 -2.246 1.240
H 3.027 -1.814 2.263
H 4.275 -4.916 2.443
H 4.458 -3.190 2.834
C -2.968 4.355 0.265
O -2.957 5.554 0.281
N -1.894 3.659 0.592
N -3.780 3.595 -0.241
H -1.959 2.655 0.504
H -1.088 4.221 0.826
H -4.630 3.945 -0.659
H -3.572 2.607 -0.257
C 1.699 0.252 5.129
O 1.871 0.432 6.279
N 1.301 -0.912 4.632
N 1.668 1.235 4.233
H 1.119 -1.551 5.393
H 1.249 -1.109 3.642
H 1.990 2.074 4.694
H 1.672 1.174 3.224
C -4.265 -1.522 2.924
O -5.272 -1.543 3.605
N -4.274 -1.075 1.742
N -3.107 -2.054 3.219
H -5.101 -0.632 1.367
H -3.454 -1.217 1.169
H -2.243 -1.938 2.709
H -3.113 -2.678 4.014
```

Results of the Löwdin charge analysis, in e, for atoms 1 through 6: atom 1 (Cl): 0.68, atom 2 (O): -0.32, atom 3 (O): -0.39, atom 4 (O): -0.37, atom 5 (O): -0.35, atom 6 (C): -0.86

2.
The following is a DFT calculation (the ωB97M-V functional and the def2-TZVPD basis) of C9H36Fe2O21S3 as an isolated structure in a non-equilibrium geometry.

Computed properties: